Taking care of yourself and your sobriety during the coronavirus pandemic is a serious struggle. As addicts and alcoholics this period of isolation and social distancing can easily wreak havoc on any recovery foundation.
• Unrelated to this article: molecular data:
<<<
A.
# C6H9NO

One molecule with the formula C6H9NO (wB97M-V/def2-TZVPD, OMol25).

Atoms and positions in Å:
C  1.64422  0.08465  -1.88709
C  0.98048  0.20857  -0.56096
C  1.51064  0.79571  0.58611
O  0.51803  0.92211  1.56639
C  -0.47380  0.13182  1.12527
C  -1.57447  -0.20002  2.07358
C  -0.35416  -0.11471  -0.24312
N  -1.30559  -0.68347  -1.08796
H  2.64262  0.51759  -1.85028
H  1.73560  -0.96397  -2.17394
H  1.07644  0.60560  -2.66040
H  2.51025  0.78571  0.98743
H  -2.21777  -0.97044  1.65525
H  -1.15856  -0.54519  3.01851
H  -2.18478  0.68221  2.28124
H  -2.25683  -0.62426  -0.75744
H  -1.09232  -0.63191  -2.07260

As for the SMILES: Cc1coc(C)c1N. For the LUMO energy, the calculation gives 0.0346 Ha. The total charge is 0. The value obtained for the highest occupied orbital energy is -7.17 eV. For the frontier orbital gap, the calculation gives 8.115 eV.

B.
# C6H9NO

C6H9NO as an isolated structure (wB97M-V/def2-TZVPD, OMol25).

Atoms and positions in Å:
C  -0.18646  0.29343  -0.79647
C  -1.62678  0.46210  -0.41898
C  -0.56585  0.91117  0.54114
C  0.16642  -0.11434  1.43154
C  -0.23363  -1.47742  0.89192
C  0.61497  -0.91915  -0.27033
H  1.19678  1.56539  -1.57745
H  -0.30458  1.47746  -2.53727
H  -2.20440  1.30586  -0.83932
H  -2.22501  -0.44227  -0.28897
H  -0.43803  1.99377  0.80376
H  0.36330  0.04810  2.48981
H  -1.30374  -1.68157  0.88386
H  0.27372  -2.33157  1.36895
H  1.17850  -1.51570  -0.95938
N  0.43450  0.96140  -1.90945
O  1.42624  -0.26051  0.71866

For the LUMO energy, the calculation gives 0.0391 Ha. The total charge is 0. The value obtained for the highest occupied orbital energy is -8.76 eV. For the frontier orbital gap, the calculation gives 9.826 eV.

C.
# C6H9NO

C6H9NO as an isolated structure (wB97M-V/def2-TZVPD, OMol25).

Atoms and positions in Å:
C  -0.82959  0.87274  -1.81370
C  -0.28571  -1.89324  -0.22540
C  0.16250  -0.66467  1.55992
C  0.96921  -1.66676  0.76006
C  -0.42646  -0.47904  0.14526
C  0.30581  1.85632  0.07341
N  -0.37525  0.68455  -0.57124
O  -0.72422  1.91183  -2.38504
H  -1.26282  -0.04746  -2.25185
H  -0.09450  -2.21295  -1.23144
H  -0.89794  -2.44074  0.44090
H  -0.57780  -1.14121  2.23151
H  0.59536  0.16801  2.10322
H  1.98948  -1.51062  0.50917
H  0.14193  1.90523  1.15467
H  1.39078  1.92867  -0.05490
H  -0.08080  2.72935  -0.44455

For the LUMO energy, the calculation gives 0.0301 Ha. The total charge is 0. The value obtained for the highest occupied orbital energy is -7.17 eV. For the frontier orbital gap, the calculation gives 7.989 eV.

D.
# C6H9NO

One molecule with the formula C6H9NO (wB97M-V/def2-TZVPD, OMol25).

Atoms and positions in Å:
N  -2.56345  -0.34227  0.61846
C  -1.52527  -0.05326  -0.36906
C  -0.99021  1.31079  -0.17856
C  0.30586  1.32976  -0.25208
C  0.78678  -0.05904  -0.37666
C  2.23034  -0.40128  -0.38844
O  2.85864  0.11242  0.72891
C  -0.34265  -0.86725  -0.34367
H  -2.69278  -1.38015  0.53691
H  -2.33110  -0.08242  1.56913
H  -1.99433  -0.37621  -1.37411
>>>
Below are a list of tips and reminders to help you to stay calm, grounded, and most importantly, sober during these uncertain times, from Transformations Care team member Charleen Meyer, LMFT, ATR.
Create. Journaling or art journaling is a great tool to get feelings about the virus out. Through art and creation, we can process feelings and better understand them. In the future, we will be able to reflect on these creations to celebrate our resiliency – because we ARE resilient.
Move. Exercise is a #1 way to reduce stress and get those good endorphins flowing. If we are homebound, there are so many fitness instructors on social media (gym owners, dance instructors, yoga instructors) whose gyms and studios had to close. They are now offering free classes on their social media platforms or YouTube channels. If you have kids, involve them! Create obstacle courses or engage in nerf gun wars. Get creative and get moving!
Pray & Meditate. Get grounded & centered, connect with your higher power, connect with faith. Step 11 is so crucial during these times. Remember that we are no longer running the show. Ask your higher power everyday what you can do to be useful to others.
What comes next are data records, not part of the text >
'''
# 1
C12H23CuN2O2P2S | the ωB97M-V functional and the def2-TZVPD basis

Values from the calculation:
- F_max: 0.050 hartree/bohr
- HOMO-LUMO gap (alpha / beta): 7.7 / 5.6 eV
- Molecular weight: 384.89 g mol⁻¹

ORCA input file:
```
! wB97M-V def2-TZVPD RIJCOSX def2/J DEFGRID3
* xyz 1 2
Cu -0.39922 -0.70386 1.57704
P 1.34363 0.35715 2.25798
C 2.47106 -0.00807 0.88271
C 1.95171 -1.05126 -0.00305
N 0.58956 -1.19019 -0.07964
C 0.04350 -1.60499 -1.23561
C 0.84056 -2.23913 -2.20198
C 2.22022 -2.30582 -2.03502
C 2.78660 -1.73008 -0.90668
C -1.48200 -1.54216 -1.43100
P -2.23232 0.10848 -1.66570
H 3.85960 -1.69548 -0.72304
H 0.34621 -2.64889 -3.08606
H 2.84279 -2.81467 -2.77014
H -1.73159 -2.11874 -2.34194
H -2.01516 -1.99833 -0.56994
H 2.51745 1.12003 -0.05998
H 3.51319 -0.17407 1.18894
H 0.87112 2.16962 -0.60752
O 2.24911 1.85940 -0.81648
H 2.91057 2.56981 -0.78866
H -1.36377 1.12745 -1.18240
O -0.14563 2.29849 -0.31925
H -0.46235 3.15015 -0.65001
C -2.52836 0.47533 -3.41450
H -2.61039 -0.46796 -3.97913
H -3.44398 1.07162 -3.55234
H -1.67586 1.05540 -3.79498
C -3.79848 0.02712 -0.79176
H -4.04650 1.01664 -0.39200
H -4.58680 -0.29394 -1.48345
H -3.73982 -0.68257 0.04307
C 2.25090 -0.18152 3.72735
H 3.23024 0.31542 3.76945
H 1.68295 0.06084 4.63492
H 2.38811 -1.27021 3.69039
C 1.18571 2.15674 2.38774
H 0.65001 2.38698 3.31651
H 2.16510 2.65595 2.41192
H 0.58523 2.51408 1.52814
S -4.31903 -0.44668 3.90686
C -2.96578 -0.60331 3.08671
N -1.94810 -0.72477 2.47254
*
```

# 2
C3H7INP | the ωB97M-V functional and the def2-TZVPD basis

Values from the calculation:
- Energy above the lowest of the compared OMol25 structures with the same formula, charge and spin: 77.8 kcal per mole
- F_max: 0.089 hartree/bohr
- HOMO-LUMO gap: 8.5 eV
- Molecular weight: 214.97 g mol⁻¹

ORCA input file:
```
! wB97M-V def2-TZVPD RIJCOSX def2/J DEFGRID3
* xyz 0 1
C 1.47000 -1.15540 -0.86934
C -1.22850 1.26379 0.00320
C 1.96633 -0.75620 -2.00605
N -1.64963 0.69071 3.02437
P -0.98823 1.27214 1.68868
I 2.92270 1.16374 -2.10744
H 1.40705 -0.52568 -0.10427
H 1.09179 -2.15675 -0.91748
H -0.67920 1.91554 -0.54164
H -1.72646 0.45744 -0.54715
H 2.15979 -1.13082 -2.97439
H -1.77925 -0.28502 3.20359
H -0.78303 2.66537 1.96334
*
```

# 3
C40H44Cl6N7O2V | the ωB97M-V functional and the def2-TZVPD basis

Values from the calculation:
- F_max: 0.077 hartree/bohr
- HOMO-LUMO gap (alpha / beta): 5.8 / 7.3 eV
- Molecular weight: 918.50 g mol⁻¹

ORCA input file:
```
! wB97M-V def2-TZVPD RIJCOSX def2/J DEFGRID3
* xyz 0 3
O -1.10326 -3.56033 -1.30049
V -2.24418 -2.50306 -1.15472
C 1.32391 -0.95907 -1.35921
C 0.40875 -0.52080 -0.23525
C 0.60410 1.02802 -0.02186
O -0.90811 -0.86490 -0.45556
H 1.01457 -0.60365 -2.34211
H 1.27257 -2.01706 -1.61634
H 2.33745 -0.60501 -1.17086
H 0.79079 -0.92126 0.70379
H 1.58905 1.24349 0.39232
H -0.10902 1.40644 0.71051
H 0.46181 1.67753 -0.88556
N -4.05066 -0.96819 -1.24642
C -4.99699 -0.99809 -2.26482
C -5.97220 -0.04211 -2.34072
C -6.00327 1.01947 -1.42835
'''
Stay in Routines. It can be so easy for your routine to get out of whack when there is nowhere to go; if you are working from home – follow your same routines. Shower in the morning, do your daily exercise, eat your meals and go to bed the same time as you normally would. Remember to HALT (Hungry? Angry? Lonely? Tired?) self-care during the day to avoid these extremes is essential.
Connect. Phone calls, virtual meetups, Zoom, Facetime, Google Duo. Social distancing requires physical distance – not emotional distance. Now is the time to connect with loved ones; check up on your neighbors, friends and family members. Attend virtual AA or NA meetings or listen to meeting or speaker podcasts.
Donate. Donate to community members or food banks, go grocery shopping for an elderly or immunocompromised neighbor or friend. Offer an uplifting message to someone who is struggling. Remember; they are ultimately helping you more than you are helping them
Limit Your Intake. Of the news that is. Tempted to check for the latest Coronavirus update every 5 minutes? Knowledge is power but, in this case, too much can really take a toll on your anxiety and mental health. Devote only a half hour every night to a news program or website. Get the information you need and then log off.
With these tools and tips in mind we can weather this storm together and stay sober and sane. Serenity is at your fingertips – keep updated on our Facebook and Instagram for when our latest online NA or AA meetings are.
Or if you miss a meeting, listen to an episode of our podcast where we talk to members of the recovery community.
If you are struggling and need someone to talk to give us a call and get the help you need today: (424) 339-0965